Source:
~~~
# C45H120O15

A 15-piece molecular cluster, C45H120O15 overall (the ωB97M-V functional and the def2-TZVPD basis, OMol25).

ORCA input file:
```
! wB97M-V def2-TZVPD RIJCOSX def2/J DEFGRID3
* xyz 1 2
C -0.406 -6.137 0.865
C -0.569 -4.988 -0.097
C -2.049 -4.584 -0.230
O 0.203 -3.887 0.379
H -1.010 -6.968 0.501
H -0.744 -5.842 1.859
H 0.644 -6.426 0.895
H -0.148 -5.238 -1.070
H -2.643 -4.654 0.681
H -2.584 -5.306 -0.846
H -2.088 -3.564 -0.612
H 1.131 -4.094 0.505
C -1.361 -1.367 3.431
C -2.026 -2.516 4.218
C -1.627 -3.945 3.704
O -1.498 -2.463 5.573
H -1.479 -0.385 3.889
H -1.790 -1.483 2.436
H -0.293 -1.558 3.326
H -3.113 -2.440 4.240
H -0.560 -4.129 3.836
H -1.811 -4.049 2.634
H -2.290 -4.657 4.194
H -1.679 -1.578 5.899
C 0.955 -0.750 -1.317
C 0.012 -0.544 -0.143
C -0.578 0.885 -0.078
O -1.044 -1.420 -0.126
H 1.185 -1.798 -1.506
H 1.916 -0.352 -0.991
H 0.492 -0.306 -2.199
H 0.443 -0.781 0.830
H -0.946 1.198 -1.055
H 0.170 1.666 0.057
H -1.363 0.928 0.676
H -0.616 -2.278 -0.069
C 6.529 -1.814 1.081
C 5.758 -1.840 -0.223
C 6.284 -2.729 -1.350
O 4.375 -2.213 -0.045
H 6.842 -2.806 1.407
H 5.986 -1.355 1.907
H 7.435 -1.238 0.895
H 5.694 -0.821 -0.604
H 7.218 -2.400 -1.807
H 5.545 -2.718 -2.151
H 6.494 -3.753 -1.043
H 3.983 -1.448 0.383
C 0.431 3.564 -2.686
C 0.062 4.157 -4.045
C -0.625 3.109 -4.887
O -0.885 5.221 -3.828
H 1.082 2.694 -2.779
H -0.483 3.389 -2.118
H 0.974 4.338 -2.144
H 0.937 4.654 -4.465
H 0.005 2.224 -4.973
H -0.916 3.504 -5.860
H -1.528 2.817 -4.352
H -1.204 5.537 -4.677
C 1.975 1.753 5.463
C 1.789 0.751 4.277
C 1.004 1.555 3.246
O 3.024 0.309 3.886
H 0.980 2.121 5.714
H 2.613 2.585 5.165
H 2.388 1.294 6.362
H 1.221 -0.138 4.549
H 0.021 1.884 3.581
H 0.786 0.929 2.380
H 1.540 2.487 3.068
H 3.401 -0.199 4.609
C -3.575 1.674 3.422
C -3.240 2.619 4.552
C -4.321 2.825 5.569
O -2.098 2.206 5.195
H -4.552 1.923 3.007
H -3.777 0.652 3.741
H -2.785 1.686 2.671
H -3.140 3.595 4.077
H -4.566 1.938 6.154
H -5.237 3.090 5.042
H -4.079 3.597 6.298
H -1.783 3.020 5.593
C -1.933 -0.338 -3.822
C -3.243 -0.589 -3.114
C -3.602 -2.063 -3.084
O -3.078 -0.167 -1.782
H -1.535 0.674 -3.756
H -2.086 -0.590 -4.871
H -1.158 -0.981 -3.405
H -4.061 0.026 -3.487
H -2.798 -2.670 -2.669
H -3.812 -2.518 -4.052
H -4.481 -2.297 -2.483
H -2.298 -0.551 -1.377
C 5.547 2.011 1.620
C 4.190 1.823 0.937
C 4.155 2.227 -0.563
O 3.659 0.544 1.108
H 5.944 3.025 1.670
H 6.272 1.373 1.115
H 5.559 1.730 2.673
H 3.515 2.442 1.528
H 3.120 2.209 -0.904
H 4.719 1.475 -1.115
H 4.583 3.217 -0.717
H 3.147 0.559 1.920
C -4.590 -1.047 0.994
C -5.907 -0.494 0.425
C -6.738 0.088 1.559
O -5.511 0.490 -0.490
H -4.003 -1.570 0.239
H -4.833 -1.804 1.739
H -4.022 -0.238 1.453
H -6.463 -1.268 -0.105
H -6.506 -0.356 2.527
H -7.799 -0.036 1.341
H -6.500 1.125 1.792
H -4.636 0.187 -0.743
C -4.415 4.732 -4.062
C -4.249 4.579 -2.600
C -3.669 3.303 -2.089
O -3.294 5.588 -2.245
H -5.202 4.026 -4.328
H -3.554 4.375 -4.628
H -4.663 5.766 -4.301
H -5.187 4.743 -2.069
H -2.641 3.217 -2.441
H -4.248 2.458 -2.459
H -3.646 3.191 -1.005
H -2.460 5.412 -2.685
C 2.688 -3.674 -3.143
C 1.520 -4.471 -3.834
C 0.228 -3.624 -3.793
O 1.867 -4.514 -5.189
H 2.699 -2.626 -3.443
H 3.602 -4.138 -3.513
H 2.628 -3.795 -2.062
H 1.402 -5.471 -3.416
H -0.513 -4.144 -4.399
H 0.298 -2.660 -4.297
H -0.200 -3.537 -2.795
H 1.220 -5.134 -5.533
C 1.866 -0.076 -4.941
C 3.307 0.519 -5.142
C 4.237 0.073 -4.011
O 3.781 0.078 -6.418
H 1.223 0.452 -5.645
H 1.382 0.160 -3.993
H 1.816 -1.139 -5.177
H 3.291 1.600 -5.007
H 5.161 0.652 -4.006
H 4.480 -0.989 -3.998
H 3.742 0.280 -3.062
H 3.923 -0.870 -6.373
C -1.851 4.517 1.283
C -1.702 5.616 2.361
C -0.719 6.730 2.093
O -2.995 6.192 2.504
H -2.660 3.821 1.508
H -0.855 4.084 1.195
H -2.168 5.052 0.388
H -1.311 5.073 3.221
H 0.325 6.451 1.949
H -0.775 7.535 2.826
H -1.078 7.220 1.188
H -3.135 6.583 1.638
C 4.170 -4.898 2.753
C 2.822 -4.303 2.364
C 2.688 -2.858 2.909
O 2.759 -4.177 0.956
H 4.558 -4.479 3.682
H 4.963 -4.691 2.035
H 4.059 -5.966 2.944
H 1.977 -4.847 2.785
~~~

What to do:
Copy the block further up from the line with "-4.248 2.458" to the end with every line break kept, please.

Result:
H -4.248 2.458 -2.459
H -3.646 3.191 -1.005
H -2.460 5.412 -2.685
C 2.688 -3.674 -3.143
C 1.520 -4.471 -3.834
C 0.228 -3.624 -3.793
O 1.867 -4.514 -5.189
H 2.699 -2.626 -3.443
H 3.602 -4.138 -3.513
H 2.628 -3.795 -2.062
H 1.402 -5.471 -3.416
H -0.513 -4.144 -4.399
H 0.298 -2.660 -4.297
H -0.200 -3.537 -2.795
H 1.220 -5.134 -5.533
C 1.866 -0.076 -4.941
C 3.307 0.519 -5.142
C 4.237 0.073 -4.011
O 3.781 0.078 -6.418
H 1.223 0.452 -5.645
H 1.382 0.160 -3.993
H 1.816 -1.139 -5.177
H 3.291 1.600 -5.007
H 5.161 0.652 -4.006
H 4.480 -0.989 -3.998
H 3.742 0.280 -3.062
H 3.923 -0.870 -6.373
C -1.851 4.517 1.283
C -1.702 5.616 2.361
C -0.719 6.730 2.093
O -2.995 6.192 2.504
H -2.660 3.821 1.508
H -0.855 4.084 1.195
H -2.168 5.052 0.388
H -1.311 5.073 3.221
H 0.325 6.451 1.949
H -0.775 7.535 2.826
H -1.078 7.220 1.188
H -3.135 6.583 1.638
C 4.170 -4.898 2.753
C 2.822 -4.303 2.364
C 2.688 -2.858 2.909
O 2.759 -4.177 0.956
H 4.558 -4.479 3.682
H 4.963 -4.691 2.035
H 4.059 -5.966 2.944
H 1.977 -4.847 2.785